Not to disparage the design, it is well thought out, especially the use of 12V! There have been several occasions when lightning has tripped the power, and the gate carries on merrily; it is exceptionally sturdy from the mechanical perspective; the charging circuit is well protected (MOVs inc) etc, but the PIC just doesn't respond! They use a 16C57, which is a big bugger, for the various options, but then proceed to use IC-like DIP switches, which conduct at the slightest sign of humidity. Under rainy conditions, the gate is in permanent ``pedestrian mode'', where it only opens so far, and closes again after 5 sec. If you keep triggering, you can get it to open, but to close it, you have to fool it by ``double triggering'', ie trigger, it closes a quarter of the way and stops. Trigger, wait for 1/2 sec, trigger again, and it closes another quarter. If you miss sync the double trigger, it opens a quarter instead, and you have to trigger it all the way open again.
Frustration isn't the word. When you've almost got it closed, it will re-open of its own accord since it now thinks its closing it. Attempting to keep the thing dry has no apparent benefits-the design itself is just too sensitive. They probably used 10 and 100k resistors where 1K or lower would have been more robust. They have fancy sensitivity pots which control the stopping of the gate should it encounter resistance. Its just too fancy.
In really cold weather, the PIC simply slows down (Couldn't find a crystal on the board, they probably use the RC mode which is very sensitive to temp). The pedestrian mode is obviously on a timed basis (there is no feedback mechanism), and the colder it is, the less space you get to walk past!
The primary problem is it's response time. Come hell or high water, you can VERY seldom stop the gate mid-flow. Clearly they are either using a VERY long debounce cycle, or a large capacitively coupled input (I haven't really investigated) As a result, if it is about to bash into someone's car, it bloody does. The ``autoclose'' facility is great, since certain members of the family have a tendency to forget... :-), but at a max of 40 Seconds, its a pain in the arse when multiple guests are leaving :-)
So...... what I want:
-- Quantum chemistry results, as found in the file --
- - -
[1]
A structure of composition C24H40NPdSi2 in a non-equilibrium geometry, computed with ωB97M-V/def2-TZVPD.

Summary:
**Relative energy (zero: lowest compared OMol25 entry of this formula, charge and spin)**: 175.07 kJ/mol
**Expectation value of S²**: 2.011
**2S+1**: 3
**Charge**: +1
**Kohn-Sham gap (spin up / spin down)**: 0.314 / 0.184 Eh
**E_LUMO (spin up / spin down)**: -0.08869 / -0.21773 Eh
**E_HOMO (spin up / spin down)**: -11.0 / -10.9 eV

Cartesian coordinates (Å):
Pd -6.885 -11.243 -7.176
C -6.881 -15.259 -3.355
C -7.537 -14.503 -4.430
C -8.123 -15.199 -5.537
C -7.738 -16.668 -5.642
C -8.977 -14.484 -6.404
C -9.533 -15.295 -7.542
C -9.073 -13.053 -6.335
C -9.514 -12.374 -7.611
C -8.701 -12.393 -5.167
C -9.119 -10.968 -4.847
C -7.855 -13.111 -4.270
C -7.511 -12.361 -3.006
H -6.629 -16.293 -3.609
H -7.500 -15.269 -2.474
H -5.943 -14.859 -3.057
H -8.054 -17.150 -6.584
H -8.206 -17.245 -4.789
H -6.658 -16.827 -5.535
H -9.916 -16.231 -7.129
H -8.772 -15.520 -8.303
H -10.320 -14.844 -8.112
H -8.837 -12.573 -8.437
H -9.564 -11.331 -7.436
H -10.539 -12.716 -7.824
H -9.797 -10.544 -5.579
H -8.285 -10.246 -4.843
H -9.566 -10.933 -3.813
H -6.805 -12.923 -2.361
H -8.433 -12.234 -2.392
H -7.122 -11.317 -3.181
C -5.663 -9.299 -5.819
Si -5.559 -9.091 -7.691
C -3.912 -8.199 -8.158
C -7.008 -8.089 -8.397
C -5.628 -10.732 -8.669
C -6.239 -10.680 -9.996
C -5.755 -9.830 -11.078
C -6.448 -9.760 -12.290
C -7.528 -10.646 -12.437
C -7.939 -11.435 -11.376
N -7.294 -11.478 -10.170
Si -4.292 -12.123 -8.408
C -5.131 -13.665 -9.116
C -3.712 -12.522 -6.622
C -2.711 -11.833 -9.385
H -4.952 -8.545 -5.498
H -5.267 -10.242 -5.460
H -6.652 -9.045 -5.478
H -3.248 -8.933 -8.701
H -3.248 -7.844 -7.341
H -4.090 -7.390 -8.819
H -7.012 -7.138 -7.836
H -7.964 -8.579 -8.279
H -6.924 -7.778 -9.438
H -4.903 -9.168 -10.908
H -6.188 -9.129 -13.143
H -8.151 -10.548 -13.305
H -8.811 -12.081 -11.398
H -4.608 -14.558 -8.830
H -5.261 -13.728 -10.174
H -6.091 -13.680 -8.578
H -4.648 -12.613 -6.018
H -3.089 -11.769 -6.189
H -3.162 -13.415 -6.613
H -1.935 -11.431 -8.759
H -2.836 -11.181 -10.259
H -2.430 -12.839 -9.737

***

[2]
A cluster of 2 separate species, C3H7N3O2S in total in a non-equilibrium geometry, computed with ωB97M-V/def2-TZVPD.

Summary:
**Relative energy (zero: lowest compared OMol25 entry of this formula, charge and spin)**: 517.92 kJ/mol
**2S+1**: 1
**Kohn-Sham gap (spin up / spin down)**: 0.258 / 0.258 Eh
**E_LUMO (spin up / spin down)**: -0.05258 / -0.05261 Eh
**E_HOMO (spin up / spin down)**: -8.4 / -8.4 eV

Cartesian coordinates (Å):
C -0.449 -2.407 0.516
C -3.055 0.739 -1.598
C 1.918 0.431 0.620
N -1.463 -1.712 0.319
N -2.670 -0.164 -0.773
N -1.597 -0.619 -0.326
O 0.172 -0.207 -1.140
O 1.915 -1.872 -0.758
S 1.709 -0.402 -1.040
H 0.584 -2.265 0.113
H -0.592 -3.181 1.344
H -4.069 0.853 -1.443
H -2.292 1.319 -2.075
H 1.595 -0.342 1.358
H 2.952 0.803 0.583
H 1.093 1.105 0.642

***

[3]
- - -
The philosophy is thus that a fancy pressure sensitive thingy is not necessary, but that I can judge when I want the action aborted, but then I want it done!!!
One of the problems is that the battery supply voltage drops below 12V when the gate motor is operating. The QD receiver then does not listen to a keypress. (Designed for 12-24V, but clearly needs at least 12V - will address with monster cap and diode, I think.)
A trigger during opening or closing operation must stop the gate and reverse.
A pedestrian input must open the gate for a period of time, so that it only partially opens the gate, followed by 10 seconds of being open, and must close fully. Only after this cycle is complete must it again listen to the pedestrian input. ie it must not be possible to re-trigger it all the way open. (Pedestrian mode not yet implemented)
=====
{
  "formula": "C30H75F4KN2O28P5S4",
  "method": "ωB97M-V/def2-TZVPD",
  "symbols": ["H", "H", "O", "F", "C", "H", "H", "C", "O", "H", "H", "H", "H", "N", "C", "O", "H", "C", "C", "H", "O", "O", "H", "H", "C", "P", "H", "O", "O", "C", "H", "H", "H", "H", "H", "H", "H", "C", "H", "H", "C", "C", "C", "P", "H", "C", "H", "H", "C", "H", "H", "H", "O", "H", "C", "C", "H", "H", "H", "H", "H", "O", "H", "H", "H", "O", "H", "H", "C", "O", "C", "N", "H", "H", "C", "H", "H", "C", "H", "H", "C", "H", "O", "O", "F", "H", "F", "H", "C", "C", "H", "H", "H", "C", "O", "H", "O", "O", "O", "P", "O", "H", "C", "O", "H", "O", "H", "P", "C", "S", "H", "H", "H", "C", "H", "H", "S", "H", "O", "K", "O", "C", "H", "O", "H", "O", "S", "H", "H", "O", "C", "H", "H", "C", "H", "H", "F", "O", "H", "H", "H", "H", "P", "C", "O", "H", "H", "O", "S"],
=====
I | Trigger |
I | Pedestrian |
O | Direction |
O | MotorOff |
The Direction output feeds a relay to reverse the polarity of the juice to the motor when this is given via the MotorOff output. I could also use an H-bridge I guess.
The use of the n/c contacts ensure that the gate is always closed, as power is always applied in that direction, until the cams cut it off. ie with both relays de-energised, the gate closes-hence MotorOff!
The instruction cycle thus runs at 451 550/4 = 112 887.5 Hz! meaning that an instruction takes 8.86mSec. Using the full 1:256 Prescalar, we get to an RTCC rollover of 2.27mSec.
To get a 0.1Sec processing cycle, we therefore need 44.0967 counts :-). Thus at 44 counts, we get 0.09978 Secs, which is pretty good enough as a time base.
Thus in terms of the system scaling granularity, the RTCC rollover occurs at 2.27mSec, and the smallest (logical) time interval avaliable is a tenth of a second, which is perfectly adequate for this simple project. Since an instruction cycle is 8.86 muSec, we have 11 264 instructions per processing cycle!!!
My standard RTOS requires 1 label to be defined-UserProgram, and requires a goto Wait at the end of the task list. In this way, I prevent the unnecessary use of a stack level, and since I designed the RTOS originally for the 16C54, with only 2 stacks...